(Assignment)
Your job: count the lines underneath that contain the word "atoms" and give the number alone.

(Given)
+++
Molecular formula: C27H79O13V
Method: DFT, wB97M-V/def2-TZVPD

The geometry in ORCA input format:
```
! RIJCOSX wB97M-V def2-TZVPD def2/J DEFGRID3
* xyz 0 5
V -7.454 -8.168 -4.357
O -16.197 -7.475 2.636
O -3.465 -7.286 -2.029
O -8.898 -8.722 -2.785
O -9.885 -4.371 -3.386
O -11.971 -7.607 4.296
O -15.499 -11.614 -0.287
O -7.581 -10.424 -4.964
O -6.683 -12.226 2.190
O -5.615 -8.696 -3.019
O -9.480 -11.545 -3.006
O -9.157 -7.819 -5.814
O -7.620 -6.022 -3.818
O -14.942 -5.472 -4.300
C -12.090 -3.409 -3.831
C -15.102 -8.234 2.165
C -8.806 -13.746 -2.268
C -10.436 -7.610 -1.140
C -9.170 -8.399 -1.416
C -9.178 -12.281 -1.891
C -14.097 -7.117 -2.756
C -15.227 -6.721 -3.707
C -11.254 -4.431 -3.119
C -8.708 -11.013 1.693
C -4.791 -6.239 -0.391
C -6.143 -4.446 -4.853
C -7.927 -10.886 -6.232
C -11.420 -7.602 -6.570
C -13.405 -10.786 0.575
C -8.233 -12.353 -6.095
C -10.439 -7.393 -5.441
C -14.154 -7.418 1.296
C -14.455 -10.706 -0.551
C -7.160 -11.007 1.622
C -10.997 -7.678 3.259
C -8.038 -7.584 -0.740
C -10.759 -6.291 2.794
C -6.503 -5.193 -3.642
C -4.791 -10.881 -3.522
C -3.760 -7.292 -0.667
C -5.272 -9.954 -2.444
H -4.366 -5.261 -0.617
H -4.553 -9.902 -1.627
H -9.604 -3.485 -3.147
H -7.104 -10.775 -6.937
H -8.148 -10.885 -4.342
H -9.174 -10.073 1.397
H -7.850 -6.596 -1.158
H -10.106 -7.972 3.813
H -13.125 -3.367 -3.490
H -5.087 -4.180 -4.816
H -5.725 -12.167 2.170
H -6.681 -10.196 2.171
H -9.413 -10.612 -2.791
H -6.696 -3.508 -4.799
H -8.428 -14.321 -1.423
H -4.915 -11.937 -3.281
H -9.273 -9.322 -0.846
H -4.859 -8.119 -2.892
H -13.877 -6.368 -1.996
H -12.620 -10.073 0.326
H -16.938 -8.050 2.839
H -16.191 -6.781 -3.201
H -8.357 -11.792 -1.368
H -10.414 -6.688 -1.721
H -2.728 -6.683 -2.147
H -11.076 -6.929 -7.355
H -14.585 -8.645 3.033
H -7.061 -8.067 -0.741
H -2.838 -7.111 -0.114
H -8.372 -7.387 0.279
H -5.707 -5.901 -3.409
H -11.107 -8.452 2.500
H -11.591 -2.441 -3.786
H -12.906 -11.755 0.568
H -12.095 -3.661 -4.892
H -11.452 -8.672 -6.777
H -13.148 -7.282 -3.265
H -13.258 -7.995 1.069
H -6.181 -10.373 -2.013
H -14.275 -8.078 -2.273
H -15.313 -7.484 -4.481
H -6.611 -4.506 -2.803
H -10.606 -7.383 -0.088
H -8.059 -13.701 -3.060
H -15.440 -8.997 1.464
H -3.781 -10.565 -3.782
H -9.006 -12.582 -5.362
H -15.100 -4.777 -3.656
H -13.812 -6.593 1.920
H -11.666 -5.811 2.428
H -10.430 -6.364 -5.083
H -5.207 -6.169 0.614
H -8.920 -7.388 -6.639
H -8.987 -11.256 2.718
H -8.580 -12.706 -7.066
H -4.158 -8.241 -0.309
H -5.630 -6.386 -1.071
H -11.293 -8.147 -1.548
H -10.399 -5.657 3.604
H -11.654 -5.402 -3.412
H -8.403 -5.467 -3.804
H -13.906 -10.973 -1.453
H -9.145 -11.762 1.032
H -14.537 -7.036 0.350
H -6.860 -10.957 0.575
H -6.419 -4.919 -5.796
H -7.299 -12.878 -5.894
H -10.028 -6.290 1.985
H -9.664 -14.255 -2.709
H -5.299 -10.760 -4.478
H -16.185 -11.568 -0.956
H -12.391 -7.213 -6.264
H -10.702 -7.893 -4.509
H -10.042 -12.169 -1.236
H -8.792 -10.302 -6.546
H -14.758 -9.669 -0.694
H -11.692 -8.160 5.030
H -13.859 -10.558 1.540
H -11.448 -4.185 -2.075
*
```

Gap between HOMO and LUMO (spin up / spin down) = 3.8 / 8.3 eV
<S²> = 6.003
Energy relative to the best compared isomer or geometry (same formula, charge and spin) = 0.1675 eV
E_tot = -2998.0206 hartree

Here are the Löwdin charges for atoms 1 to 2, given in e: V 0.665; O -0.067

* * * * *

# 1
Molecular formula: C36H93ClN5O17
Method: DFT, wB97M-V/def2-TZVPD

The geometry in XYZ format:
```
152
Properties=species:S:1:pos:R:3
Cl -0.459 1.437 1.569
O -0.308 2.879 1.635
O -1.797 1.073 1.174
O 0.493 0.985 0.568
O -0.176 0.878 2.873
C 4.106 0.161 2.344
C 3.599 -0.194 0.978
O 2.462 -1.050 1.101
H 3.289 0.504 2.976
H 4.792 1.023 2.323
H 4.653 -0.678 2.774
H 4.301 -0.726 0.337
H 3.290 0.717 0.449
H 1.679 -0.485 1.091
C -2.050 5.452 3.736
C -0.669 6.073 3.717
O 0.072 5.748 2.528
H -2.646 5.921 4.522
H -2.024 4.392 4.031
H -2.521 5.440 2.754
H -0.080 5.788 4.593
H -0.830 7.155 3.697
H -0.035 4.790 2.433
C -3.834 -0.527 3.822
C -3.758 0.987 4.085
O -2.513 1.387 4.641
H -4.844 -0.778 3.484
+++

(Completed)
1